Contents =
Computed powder diffraction line list of MgFe4P4O16 for Cu Kα (λ = 1.5418 Å), from a PBE+U-relaxed structure.

Cell and atoms:
```
data_MgFe4P4O16
_space_group_name_H-M_alt 'P -1'
_space_group_IT_number 2
_cell_length_a 5.3087
_cell_length_b 8.0626
_cell_length_c 8.8036
_cell_angle_alpha 88.23
_cell_angle_beta 86.38
_cell_angle_gamma 74.01
loop_
_space_group_symop_operation_xyz
'x,y,z'
'-x,-y,-z'
loop_
_atom_site_label
_atom_site_type_symbol
_atom_site_fract_x
_atom_site_fract_y
_atom_site_fract_z
Mg1 Mg 0.0000 0.0000 0.0000
Fe1 Fe 0.0468 0.1994 0.4858
Fe2 Fe 0.4384 0.3103 0.9905
P1 P 0.0950 0.7050 0.1714
P2 P 0.3616 0.8140 0.6801
O1 O 0.0044 0.3307 0.6660
O2 O 0.1367 0.2289 0.9367
O3 O 0.1891 0.9671 0.5843
O4 O 0.2331 0.8526 0.1616
O5 O 0.2449 0.6671 0.6341
O6 O 0.2991 0.5439 0.1048
O7 O 0.3156 0.8513 0.8523
O8 O 0.3449 0.2197 0.3646
```

Principal peaks in the range 10 to 80 degrees two-theta, sorted by position:
hkl, Position (°2θ), Rel. int.
1 0 1, 19.64, 30
1 1 1, 20.11, 55
0 0 2, 20.22, 45
1 0 -1, 20.64, 44
0 2 0, 22.95, 100
0 1 2, 23.13, 50
0 1 -2, 23.42, 34
1 -1 2, 30.53, 48
-1 1 2, 31.65, 32
-1 1 4, 48.58, 27

Work order =
Please set down every line further above that contains the word "O7".

Result =
O7 O 0.3156 0.8513 0.8523